• Contents:
____________
No. 1
Structure and computed powder X-ray diffraction pattern of SmHo2Er7 (a DFT-relaxed cell (GGA-PBE, Alexandria); a wavelength of 1.5418 Å).
No peak broadening, texture or thermal motion is included.

Peak list (6 most intense, 2θ from 5° to 70°, in order of rising 2θ)
31.05 deg, I = 87; 31.74 deg, I = 100; 33.30 deg, I = 46; 33.63 deg, I = 43; 48.06 deg, I = 32; 62.70 deg, I = 29

Crystal structure
```
data_SmHo2Er7
_chemical_formula_sum 'Sm2 Ho4 Er14'
_space_group_name_H-M_alt 'C 1 2/m 1'
_space_group_IT_number 12
_space_group_name_Hall '-C 2y'
_cell_length_a 8.800
_cell_length_b 16.547
_cell_length_c 5.381
_cell_angle_alpha 90.00
_cell_angle_beta 127.65
_cell_angle_gamma 90.00
loop_
_atom_site_label
_atom_site_type_symbol
_atom_site_fract_x
_atom_site_fract_y
_atom_site_fract_z
Sm1 Sm 0.000 0.000 0.000
Ho1 Ho 0.000 0.301 0.500
Er1 Er 0.000 0.200 0.000
Er2 Er 0.000 0.500 0.500
Er3 Er 0.248 0.390 0.248
```

No. 2
Structure and computed powder X-ray diffraction pattern of Sm7Ho3Er (a DFT-relaxed cell (GGA-PBE, Alexandria); a wavelength of 1.5418 Å).
No peak broadening, texture or thermal motion is included.

Peak list (6 most intense, 2θ from 5° to 70°, in order of rising 2θ)
31.49 deg, I = 100; 31.83 deg, I = 22; 31.96 deg, I = 35; 32.94 deg, I = 36; 45.73 deg, I = 16; 56.66 deg, I = 19

Crystal structure
```
data_Sm7Ho3Er
_chemical_formula_sum 'Sm7 Ho3 Er1'
_space_group_name_H-M_alt 'P 1 2/m 1'
_space_group_IT_number 10
_space_group_name_Hall '-P 2y'
_cell_length_a 7.045
_cell_length_b 5.601
_cell_length_c 9.972
_cell_angle_alpha 90.00
_cell_angle_beta 110.67
_cell_angle_gamma 90.00
loop_
_atom_site_label
_atom_site_type_symbol
_atom_site_fract_x
_atom_site_fract_y
_atom_site_fract_z
Sm1 Sm 0.000 0.000 0.000
Sm2 Sm 0.145 0.500 0.292
Sm3 Sm 0.321 0.500 0.640
Sm4 Sm 0.414 0.000 0.829
Ho1 Ho 0.000 0.000 0.500
Ho2 Ho 0.280 0.500 0.000
Er1 Er 0.500 0.000 0.500
```

No. 3
Structure and computed powder X-ray diffraction pattern of SmHoEr3 (a DFT-relaxed cell (GGA-PBE, Alexandria); a wavelength of 1.5418 Å).
No peak broadening, texture or thermal motion is included.

Peak list (6 most intense, 2θ from 5° to 70°, in order of rising 2θ)
31.01 deg, I = 100; 35.90 deg, I = 34; 36.07 deg, I = 17; 51.80 deg, I = 24; 61.47 deg, I = 18; 61.72 deg, I = 14

Crystal structure
```
data_SmHoEr3
_chemical_formula_sum 'Sm2 Ho2 Er6'
_space_group_name_H-M_alt 'P -1'
_space_group_IT_number 2
_space_group_name_Hall '-P 1'
_cell_length_a 3.541
_cell_length_b 9.350
_cell_length_c 9.962
_cell_angle_alpha 105.46
_cell_angle_beta 90.06
_cell_angle_gamma 100.87
loop_
_atom_site_label
_atom_site_type_symbol
_atom_site_fract_x
_atom_site_fract_y
_atom_site_fract_z
Sm1 Sm 0.000 0.000 0.250
Ho1 Ho 0.200 0.401 0.350
Er1 Er 0.200 0.401 0.850
Er2 Er 0.399 0.797 0.449
Er3 Er 0.399 0.797 0.950
```

* * * * *

Calculated powder XRD pattern of NaSe for copper Kα, from DFT lattice parameters and positions (PBE).
Neutral-atom scattering factors, no anomalous dispersion.

Structural model:
Cell lengths 4.7257, 4.7257, 10.7884 Å; angles 90.00, 90.00, 120.00 degrees
Fractional coordinates of all 8 atoms:
Na 0.0000 0.0000 0.0000
Na 0.0000 0.0000 0.5000
Na 0.3333 0.6667 0.2500
Na 0.6667 0.3333 0.7500
Se 0.3333 0.6667 0.6353
Se 0.3333 0.6667 0.8647
Se 0.6667 0.3333 0.1353
Se 0.6667 0.3333 0.3647

Main lines, low angle first (10 to 80 degrees two-theta):
| h k l | 2θ/deg | Rel. int. |
| --- | --- | --- |
| 1 0 0 | 21.72 | 39.6 |
| 1 0 1 | 23.25 | 100.0 |
| 1 0 2 | 27.35 | 21.8 |
| 0 0 4 | 33.17 | 67.2 |
| 1 1 0 | 38.08 | 86.4 |
| 1 0 4 | 40.04 | 27.5 |
| 1 0 5 | 47.64 | 43.2 |
| 1 1 4 | 51.40 | 34.4 |
____________

• Job:
Duplicate only the lines further up with the word "scattering" in them.

• Done:
Neutral-atom scattering factors, no anomalous dispersion.